
Thursday, June 24, 2010

On the elegance of remap nodes....

Typically when I rig I hack the heck out of stuff using expressions and what not. For example, this had been my expression driving lid movement...

//Left Lid connections
eyeRigAttributeHolder.blink_center_left = clamp (0,1, -blink_left_anim.translateY);
eyeRigAttributeHolder.blink_inner_left = clamp (0,1, -blink_left_anim.translateY);
eyeRigAttributeHolder.blink_outer_left = clamp (0,1, -blink_left_anim.translateY);

eyeRigAttributeHolder.upperLid_center_left = clamp (-27, 35, -uprLid_left_anim.translateY * 35);
eyeRigAttributeHolder.upperLid_outer_left = clamp (-25, 25, -outer_uprLid_left_anim.translateY * 25);
eyeRigAttributeHolder.upperLid_inner_left = clamp (-8, 20, -inner_uprLid_left_anim.translateY * 20);

eyeRigAttributeHolder.lowerLid_center_left = clamp ( -12, 21, -lwrLid_left_anim.translateY * 21);
eyeRigAttributeHolder.lowerLid_outer_left = clamp ( -14, 12, -outer_lwrLid_left_anim.translateY * 20);
eyeRigAttributeHolder.lowerLid_inner_left = clamp ( -5, 12, -inner_lwrLid_left_anim.translateY * 12);

//adds rotation on the center eyelid skin joints for bend in the eyelid and is then negated by the blink so things seal up
left_uprLid_skin_jnt.rotateZ = uprLid_left_anim.rotateZ - (uprLid_left_anim.rotateZ * -blink_left_anim.translateY);
left_lwrLid_skin_jnt.rotateZ = lwrLid_left_anim.rotateZ - (lwrLid_left_anim.rotateZ * -blink_left_anim.translateY);

//left eyelid group follows the eye
eyelid_left_rig_grp.rotateY = left_eye_skin_jnt.rotateY * .2;
uprEyelid_left_rig_grp.rotateX = clamp (-35, 10, left_eye_skin_jnt.rotateX + (eyeRigAttributeHolder.blink_center_left * 35)) ;

//joint following
//left_uprFan_jnt.rotateX = left_uprLid_jnt.rotateX * .7;
//left_outerUprLid_jnt.rotateX = left_uprLid_jnt.rotateX * .7;
That's a bit of a mess and a major pain to edit for the user and wanting to follow in Shleifer's Animator Friendly rigging principles I looked into a bit of a more elegant solution and learned to love remap nodes in the process.

So with a bid of elbow grease and heavily modifying Doublestein's eyelid joint setup by adding new attributes and some new doodads everything connects in one nice little script.

Unrelated to this text: quantum chemistry results
~~~
No. 1
C30H64N8O14 | ωB97M-V/def2-TZVPD

- total charge = 0
- HOMO (eV) = -8.2845
- structure (SMILES) = O=C1OCCO1.O=C1OCCO1.CNC(C)=O.CNC(C)=O.CNC(C)=O.CNC(C)=O.CNC(C)=O.CNC(C)=O.CNC(C)=O.CNC(C)=O
- 2S+1 = 1
- ΔE to the lowest compared entry with this formula, charge and spin (eV) = 0.104
- orbital gap (Eh) = 0.3186

Positions of all 116 atoms, in Å:
C: 1.59077 -1.85895 4.15956
C: 0.78853 -0.99526 3.12565
O: 0.46140 -2.16297 2.27598
C: 1.30859 -3.16809 2.32876
O: 1.22570 -4.03923 1.48120
O: 2.03676 -3.11793 3.55908
H: 0.80715 -2.14770 4.86003
H: 2.43923 -1.22114 4.40741
H: 1.44166 -0.23080 2.70478
H: -0.07406 -0.49528 3.56616
C: -1.75156 2.89367 4.39871
C: -2.98591 3.51313 3.65894
O: -3.15099 2.49127 2.68048
C: -2.53089 1.27269 3.06087
O: -2.47223 0.19445 2.51398
O: -1.88513 1.47342 4.21167
H: -1.74437 3.05166 5.47717
H: -0.80453 3.34316 4.10011
H: -2.66633 4.40602 3.12162
H: -3.88057 3.59132 4.27666
C: 1.84457 2.27533 4.58067
C: 2.56162 1.96864 5.87109
O: 2.29855 2.55194 6.91327
N: 3.41352 0.91321 5.78820
C: 4.28759 0.39137 6.91742
H: 1.01824 1.56481 4.55949
H: 2.40177 2.42831 3.65643
H: 1.39534 3.22935 4.85662
H: 3.60177 0.64739 4.83217
H: 5.06096 1.13297 7.11751
H: 4.80698 -0.54517 6.71440
H: 3.67601 0.31585 7.81651
C: -6.68069 1.03669 -2.68283
C: -5.26762 1.37644 -2.20283
O: -4.61378 0.39912 -1.87061
N: -4.79741 2.62527 -2.31676
C: -3.42672 3.18501 -2.00956
H: -7.31110 0.47101 -1.99676
H: -6.67261 0.46600 -3.61146
H: -7.21059 1.98054 -2.81106
H: -5.52403 3.18854 -2.73492
H: -3.41396 4.22343 -1.67847
H: -2.75115 3.12551 -2.86289
H: -2.81552 2.61297 -1.31149
C: 0.17559 -4.74897 -1.58739
C: -1.10091 -5.42028 -1.60244
O: -1.83476 -5.56022 -0.67406
N: -1.42764 -5.78132 -2.87193
C: -2.73302 -6.29179 -3.35115
H: 0.28302 -4.00259 -2.37445
H: 1.05879 -5.38777 -1.58466
H: 0.17510 -4.09925 -0.71220
H: -0.62264 -5.93784 -3.46149
H: -2.87205 -5.71591 -4.26610
H: -3.56728 -6.20629 -2.65487
H: -2.49161 -7.34248 -3.51198
C: 4.25483 -0.05439 0.35878
C: 4.56310 -0.08711 1.87778
O: 3.73859 0.38025 2.62202
N: 5.66142 -0.69540 2.31812
C: 5.91109 -0.96283 3.76139
H: 3.93631 0.90517 -0.04852
H: 3.64088 -0.93992 0.19439
H: 5.13022 -0.24088 -0.26332
H: 6.43584 -1.00664 1.74934
H: 6.62482 -0.25752 4.18709
H: 6.29562 -1.97161 3.91172
H: 5.04218 -0.84480 4.40882
C: -0.12336 4.11538 -2.62933
C: 1.18546 4.29322 -1.94214
O: 1.27791 5.10279 -0.99445
N: 2.23307 3.49341 -2.43805
C: 3.57887 3.56762 -1.90773
H: -0.74765 4.98573 -2.42724
H: -0.36212 3.21581 -2.06202
H: -0.06706 3.90482 -3.69732
H: 2.00779 2.73285 -3.06326
H: 3.48597 3.92287 -0.88143
H: 4.28186 4.11704 -2.53385
H: 3.93254 2.54717 -1.76039
C: 1.86100 -0.61189 -4.86844
C: 2.11587 0.74266 -5.43714
O: 1.58495 1.71958 -5.02041
N: 3.00453 0.85572 -6.36819
C: 3.39387 -0.24238 -7.23962
H: 1.01965 -0.58622 -4.17591
H: 2.70703 -1.10619 -4.39096
H: 1.57090 -1.36518 -5.60090
H: 3.02483 1.82188 -6.66180
H: 4.04525 -0.85496 -6.61627
H: 4.02748 -0.02420 -8.09930
H: 2.56466 -0.89487 -7.51301
C: -1.20098 -0.69142 -1.33231
~~~
End of the quantum chemistry results

Here's a chunk of that code...
//connecteding eyelid controls -jb
string $uprLidMovementRemap = `createNode remapValue -n ("remapUprLidMovement"+$location+$side)`;
setAttr ( $uprLidMovementRemap+".inputMin") -1;
connectAttr ($uprLidControl+".ty") ($uprLidMovementRemap+".inputValue");
connectAttr ($uprLidUprLimit) ($uprLidMovementRemap+".outputMax");
connectAttr ($uprLidLwrLimit) ($uprLidMovementRemap+".outputMin");
connectAttr ($uprLidMovementRemap+".outValue") ($uprLidMover);

string $lwrLidMovementRemap = `createNode remapValue -n ("remapLwrLidMovement"+$location+$side)`;
setAttr ( $lwrLidMovementRemap+".inputMin") -1;
connectAttr ($lwrLidControl+".ty") ($lwrLidMovementRemap+".inputValue");
connectAttr ($lwrLidUprLimit) ($lwrLidMovementRemap+".outputMax");
connectAttr ($lwrLidLwrLimit) ($lwrLidMovementRemap+".outputMin");
connectAttr ($lwrLidMovementRemap+".outValue") ($lwrLidMover);

//Blink setup - jb
string $blinkmdNode = `createNode multiplyDivide -n ("BlinkmdNode"+$location+$side)`;
connectAttr ($blinkControl+".ty") ($blinkmdNode+".input1X");
setAttr ($blinkmdNode+".input2X") -1;
connectAttr ($blinkmdNode+".outputX") ($blinkMover);
It's also pretty cool in that there's now attributes sitting on a control that you can mess with to tweak the range of the lid movement by the controls. Pretty nifty.

Now I'd really like to buckle down and learn some python but if I'm gonna finish Morphy anytime soon, it'll have to wait.


Virgil said...

duuuuuuuuuude, don't use expressions :P there are far simpler ways for automatic eyelid movement and fleshiness. anyway, look for the fastest way. nodes are not that hard to work with. also, as far as deformers go, keep things as simple as possible. I see that you're having wrap deformers for the brows. not ideal. you could initially wrap deform them, and export those deformations to blendshapes. but yeah, it depends on what you want from your rig. but if you'll have the rig completely driven by sliders, and no freeform stuff, you should consider the above :P

Unknown said...

Hey man,

This post is from ages ago, what are you doing down here? :)...pretty much everything is changed over to nodes now. I agree that expressions aren't the fastest end setup. However, I find them a lot easier to mess with when I'm trying things out. Just comment out sections you wanna unhook and rehook it up when you want.

Blendshapes for the eyebrows wouldn't work. Download the deformation beta rig and I think it'll be clear why. Much of the customization is freeform.

All the stuff on this site is 2000 - by Josh Burton...unless otherwise noted. All rights reserved.